S’up, nerds, hope you like speculation. So Zack Snyder’s Superman movie, Man of Steel opens June 2013, with WB hoping that it will pave the way for their own Avengers-style superhero supergroup movie in 2015, Justice League, earning them boatloads of sweet, greasy, nerd money. A key component of that supergroup is obviously Batman. Trouble is, Chris Nolan is pretty much done directing superhero movies, so they don’t know exactly where that story line is going. But according to our friend Drew at Hitfix, in the confusingly question-mark-headlined “Is Joseph Gordon-Levitt already set to play Batman in ‘Justice League’?”, Joseph Gordon-Levitt will ‘absolutely’ be Justice League‘s Batman.
Certainly, the ending of “The Dark Knight Rises” hints at a possible future for the franchise, and there has been much speculation about whether or not they’ll work to connect the end of that film to the larger world of DC properties that Warner is so desperate to create. Over the last couple of weeks, that speculation seems to have turned into conversation, and that conversation seems to be solidifying into a plan.
According to sources, Joseph Gordon-Levitt absolutely will be appearing in “Justice League” as the new Batman.
### Between two parts of the article: calculated molecules
********
Record 1
167
Properties=species:S:1:pos:R:3:forces:R:3 method="wB97M-V/def2-TZVPD" total_charge=+1 orbital_gap_ev=6.90 multiplicity=1 e_lumo_ev=-3.754 homo_ev=-10.7
C -4.5885 -4.4780 7.1849 -0.66 -0.81 -0.31
C -5.0280 -5.4832 6.0906 1.04 1.18 -0.50
C -4.1252 -5.1838 4.8315 -0.82 -1.49 0.22
C -2.9393 -6.2176 4.7058 -1.45 1.10 -0.15
C -3.2263 -7.1112 3.4828 1.22 -0.14 0.22
C -2.0326 -8.0040 2.9937 -0.59 0.71 0.21
C -0.6299 -7.5766 3.4755 0.28 -1.31 -1.09
C 0.4247 -8.1264 2.4715 -0.46 0.55 0.22
C 0.4021 -7.3760 1.1142 0.57 -1.18 -0.16
C 1.8028 -7.3854 0.4231 -0.84 1.15 0.58
C 2.4827 -6.0048 0.6061 0.95 -0.93 -0.54
C 3.7244 -5.9286 -0.3202 -0.54 -0.38 -0.20
C 3.3211 -5.7085 -1.8036 0.57 0.31 0.26
C 4.0018 -4.4692 -2.4433 -0.66 -0.98 -0.48
C 3.1996 -4.0684 -3.7181 0.91 1.10 0.81
C 3.2140 -2.5058 -3.9226 -0.26 -0.52 -0.20
C 1.8399 -1.9526 -3.5999 1.07 0.24 0.36
C 0.8954 -1.9348 -4.5769 0.17 -0.20 -0.21
N -0.3369 -1.4423 -4.3463 -0.12 -0.39 -0.88
C -0.7213 -0.9228 -3.1879 -0.56 0.59 1.00
C -2.0834 -0.3217 -2.9072 -0.23 -0.74 -1.13
C -3.1146 -0.3610 -4.0879 -1.05 1.00 0.96
N -4.2508 0.4806 -3.6657 0.32 -0.25 -0.22
N -3.6322 -1.7185 -4.1911 0.48 0.22 -0.19
N -2.6316 0.2135 -5.3731 0.78 -1.07 0.55
C 0.1990 -0.9325 -2.1646 0.55 -0.04 0.92
C 1.4636 -1.4475 -2.3384 0.63 0.65 -0.72
C 2.4213 -1.4661 -1.1844 0.70 -1.25 1.64
O 2.4420 -2.4579 -0.4899 -0.37 0.87 -0.79
O 3.1762 -0.3583 -0.9573 -0.87 0.00 -1.22
N 3.7982 -0.4394 0.3021 0.07 -0.92 1.20
C 2.9963 0.2328 1.3219 0.53 0.62 0.30
C 3.2554 1.7444 1.4417 -1.20 0.17 0.14
C 2.9616 2.5319 0.1471 0.01 -1.01 -0.29
C 1.5167 2.3015 -0.3915 0.09 0.91 0.24
H -4.6875 -3.4633 6.7861 -0.05 -0.09 0.29
H -3.5333 -4.6632 7.4190 -0.21 0.12 0.15
H -5.2193 -4.6165 8.0691 0.33 0.30 0.07
H -4.8681 -6.5104 6.4386 -0.06 0.13 -0.14
H -6.0859 -5.3829 5.8194 0.16 0.14 0.25
H -3.7733 -4.1466 4.8187 -0.08 -0.17 0.18
H -4.7861 -5.3149 3.9612 0.32 0.19 -0.01
H -2.9552 -6.7732 5.6502 0.57 -0.08 -0.27
H -2.0355 -5.6122 4.6081 0.15 -0.54 0.01
H -4.0696 -7.7693 3.7254 -0.07 0.34 -0.23
H -3.4905 -6.4338 2.6607 -0.18 -0.23 0.15
H -2.2352 -9.0379 3.2980 0.30 0.11 -0.07
H -2.0598 -7.9816 1.8959 0.05 -0.15 0.21
H -0.4415 -8.0739 4.4342 -0.01 0.63 0.11
H -0.4789 -6.4943 3.5077 -0.22 -0.14 0.32
H 0.1937 -9.1788 2.2591 0.29 0.07 0.24
H 1.4140 -8.0656 2.9476 -0.12 -0.03 -0.25
H 0.0155 -6.3554 1.2276 0.09 -0.15 -0.06
H -0.2633 -7.9475 0.4532 -0.18 0.44 0.15
H 1.6872 -7.6153 -0.6429 0.16 -0.03 0.17
H 2.4234 -8.1449 0.9126 -0.02 0.00 -0.37
H 1.7947 -5.1868 0.3629 0.09 -0.08 0.28
H 2.8360 -5.9641 1.6447 -0.34 0.40 -0.09
H 4.4170 -5.1437 0.0032 -0.06 -0.18 -0.03
H 4.2098 -6.9115 -0.2448 0.27 0.38 0.14
H 3.6057 -6.5664 -2.4283 -0.22 0.03 0.21
H 2.2261 -5.6243 -1.8627 0.20 0.12 -0.03
H 5.0095 -4.7769 -2.7494 -0.06 0.26 0.14
H 4.1083 -3.6519 -1.7265 -0.22 -0.10 -0.11
H 3.6602 -4.5439 -4.5878 -0.41 -0.05 0.05
H 2.1556 -4.3667 -3.5838 0.20 -0.24 -0.29
H 3.9919 -2.0293 -3.3155 -0.22 -0.11 0.00
H 3.4620 -2.2784 -4.9665 -0.17 0.10 0.18
********
### End of the calculated molecules
But wait, didn’t they make a big thing about JGL’s name being “Robin” at the end of Dark Knight Rises? (Spoiler alert). Robin is Batman now? How does that work? (And please, don’t explain).
Now here’s where things get interesting. The more insistent the drumbeat has become, the more poking around I’ve been doing, and it’s looking like we may see Gordon-Levitt in the suit earlier than that. They’re a long way from filming anything “Justice League” related, but they appear to be solidifying deals for Gordon-Levitt and, potentially, at least one other actor from the Nolan films to do… something. |HitFix|
-- Someone pasted calculated molecules at this point --
'''
Formula: C15H40N3O6S
Source: the Open Molecules 2025 dataset
Level of theory: ωB97M-V with the def2-TZVPD basis set

```
65
Properties=species:S:1:pos:R:3:forces:R:3:lowdin_charge:R:1
C -2.136 -2.130 -1.780 0.16 -0.38 -0.44 -0.059
O -2.432 -0.854 -1.217 -0.04 -0.03 0.07 -0.144
C -1.303 -0.082 -1.018 0.07 -0.19 -0.34 -0.185
N -0.479 -0.654 0.069 0.68 0.42 0.39 -0.025
C 0.865 -0.334 0.152 0.04 -0.41 0.07 -0.305
N 1.701 -0.611 -0.826 -0.34 0.24 0.27 0.135
C 3.118 -0.257 -0.833 0.20 0.34 0.16 -0.101
C 4.056 -1.394 -0.372 -0.08 0.00 -0.01 -0.213
O 4.904 -0.920 0.663 -0.01 0.26 -0.46 -0.049
N 1.234 0.193 1.368 -1.16 0.29 -1.24 0.125
C -0.082 0.629 1.960 0.38 0.06 -0.29 -0.140
C -0.977 -0.487 1.441 0.12 -0.52 0.69 -0.565
S -0.771 -2.051 2.393 -0.23 0.05 -0.03 0.802
H -1.053 -2.306 -1.781 -0.25 -0.10 0.08 0.068
H -2.637 -2.929 -1.224 0.08 0.31 0.03 0.102
H -2.475 -2.168 -2.825 0.01 0.07 0.22 0.091
H -1.638 0.925 -0.752 -0.03 -0.12 0.01 0.149
H -0.677 -0.036 -1.922 -0.04 0.04 0.18 0.141
H 1.347 -1.160 -1.605 -0.08 -0.13 -0.17 0.115
H 3.275 0.586 -0.148 -0.01 -0.18 -0.30 0.111
H 3.360 0.096 -1.839 -0.02 -0.10 0.17 0.133
H 3.453 -2.248 -0.046 0.09 0.08 -0.03 0.125
H 4.685 -1.723 -1.204 -0.08 0.03 0.09 0.120
H 4.737 -1.397 1.468 -0.07 -0.30 0.42 0.083
H 1.865 0.996 1.231 0.26 -0.12 0.49 0.091
H -0.053 0.779 3.037 0.03 -0.22 -0.14 0.097
H -0.337 1.577 1.466 -0.20 -0.03 0.29 0.133
H -2.057 -0.348 1.516 0.20 0.49 -0.42 0.117
H 0.383 -2.423 1.832 0.13 0.02 0.03 -0.145
C 3.048 4.658 2.815 0.06 -0.05 -0.07 -0.075
C 2.056 3.625 2.331 -0.06 0.04 -0.03 -0.289
O 2.681 2.646 1.473 -0.02 -0.23 0.11 -0.114
H 3.521 5.162 1.973 -0.01 0.02 0.00 0.083
H 2.549 5.404 3.433 -0.01 -0.01 0.01 0.084
H 3.831 4.192 3.418 -0.01 0.01 0.03 0.081
H 1.284 4.086 1.716 0.00 0.01 0.00 0.117
H 1.565 3.127 3.172 -0.01 -0.02 -0.02 0.105
H 3.402 2.246 1.973 0.18 0.15 -0.02 0.097
C -2.122 1.111 6.494 -0.02 -0.01 -0.10 -0.085
C -0.859 1.797 6.019 -0.01 0.00 0.01 -0.304
O -0.927 2.171 4.637 0.04 -0.06 0.03 -0.111
H -2.324 0.222 5.897 0.01 -0.01 0.01 0.074
H -2.031 0.814 7.538 0.01 0.01 0.01 0.080
H -2.982 1.780 6.410 0.00 0.01 0.03 0.076
H -0.004 1.125 6.093 0.01 0.00 0.01 0.112
H -0.645 2.678 6.630 0.03 -0.01 0.00 0.112
H -1.663 2.781 4.535 -0.06 0.06 -0.01 0.086
C 2.177 -4.153 -4.211 0.01 0.04 0.06 -0.079
C 0.879 -3.408 -3.988 0.07 0.05 0.00 -0.284
O 1.104 -2.136 -3.344 0.03 0.10 0.20 -0.123
H 2.687 -4.328 -3.264 -0.01 -0.03 0.00 0.076
H 1.991 -5.116 -4.687 -0.01 0.00 -0.01 0.084
H 2.845 -3.583 -4.860 -0.01 -0.02 -0.03 0.079
H 0.213 -3.963 -3.330 0.00 0.03 0.04 0.111
H 0.355 -3.238 -4.931 -0.03 -0.01 0.01 0.119
H 1.669 -1.619 -3.927 -0.01 0.04 -0.13 0.091
C -5.515 0.762 -3.852 0.08 0.03 0.02 -0.089
C -4.821 -0.014 -4.953 0.00 0.00 0.00 -0.316
O -3.399 0.021 -4.830 0.02 -0.01 -0.01 -0.088
H -5.181 1.800 -3.851 -0.02 0.01 -0.01 0.076
H -6.597 0.745 -3.986 -0.01 -0.01 -0.01 0.077
H -5.289 0.330 -2.873 -0.02 -0.01 0.00 0.068
H -5.035 0.422 -5.927 -0.01 0.00 -0.01 0.113
'''
DUNT DUNT DUNNNNN…. That “something,” according to Drew, could be some kind of post-credits sequence in Man of Steel introducing JGL-Batman to the Superman universe. Oh man, I think I doubled my dandruff just typing that.
Look, I liked The Avengers as much as the next guy, but every time they get someone talented involved in this Justice League project, I’m torn between being happy about the project and sad about that talented person not being able to work on something less stupid. What do the other Justice Leaguers even do? Just hang around keeping kryptonite away from Superman? DC is no Marvel, they have like one and a half good superheroes. Kick me out of the clubhouse if you must, but you know what I’d much rather see than Justice League? Another Hesher, Looper, or 50/50.
Hahaha, I kid! Let’s speculate about who’ll play Wonder Woman! Hopefully someone with big boobs!
UPDATE: Levitt’s reps are refuting the rumor, for whatever that’s worth.